Wanted:
Copy the entries underneath from the line with "(Å): 5.731" to the end verbatim.

Contents:
The following is a calculated powder X-ray diffraction pattern of TbDyAgPd. It was derived from DFT lattice parameters and positions (PBE), using a wavelength of 1.5418 Å.
Lines closer than 0.1° are merged.

Cell and atoms:
a b c (Å): 3.5699 3.5699 7.2168
angles (deg): 90.00 90.00 90.00
Sites, in units of the cell vectors:
Tb  0.0000  0.0000  0.0000
Dy  0.0000  0.0000  0.5215
Ag  0.5000  0.5000  0.2630
Pd  0.5000  0.5000  0.7582

Principal peaks in the range 2θ from 10° to 80°, sorted by position:
| Position (°2θ) | I (rel.) |
| --- | --- |
| 35.4 | 100 |
| 35.6 | 50 |
| 51.2 | 17 |
| 63.4 | 17 |
| 63.7 | 35 |
| 74.8 | 11 |

----------

(1)
This entry pairs a crystal structure of Zr7Zn3 with its computed powder diffractogram. Radiation: Cu Kα, 1.54184 Å. Structure: a GGA-PBE-relaxed structure.
Intensities are scaled so that the largest is 100.

Peak list (6 most intense, 10° ≤ 2θ ≤ 80°, low angle first)
2θ 31.26, 2.862 Å, rel. 35.5, hkl 1 0 2; 2θ 34.09, 2.630 Å, rel. 95.6, hkl 2 1 1; 2θ 37.38, 2.406 Å, rel. 70.6, hkl 2 0 2; 2θ 38.00, 2.368 Å, rel. 100.0, hkl 3 0 1; 2θ 40.62, 2.221 Å, rel. 28.9, hkl 2 2 0; 2θ 62.75, 1.481 Å, rel. 27.2, hkl 3 3 0

Structural model:
a b c (Å): 8.885 8.885 6.166
angles (deg): 90.00 90.00 120.00
Sites, in units of the cell vectors:
Zr (0.069, 0.534, 0.000)
Zr (0.122, 0.243, 0.260)
Zr (0.122, 0.878, 0.260)
Zr (0.243, 0.122, 0.760)
Zr (0.333, 0.667, 0.359)
Zr (0.466, 0.534, 0.000)
Zr (0.466, 0.931, 0.000)
Zr (0.534, 0.069, 0.500)
Zr (0.534, 0.466, 0.500)
Zr (0.667, 0.333, 0.859)
Zr (0.757, 0.878, 0.260)
Zr (0.878, 0.122, 0.760)
Zr (0.878, 0.757, 0.760)
Zr (0.931, 0.466, 0.500)
Zn (0.207, 0.413, 0.680)
Zn (0.207, 0.793, 0.680)
Zn (0.413, 0.207, 0.180)
Zn (0.587, 0.793, 0.680)
Zn (0.793, 0.207, 0.180)
Zn (0.793, 0.587, 0.180)

***

(2)
This entry pairs a crystal structure of Tm4GaSiSe2 with its computed powder diffractogram. Radiation: Cu Kα, 1.54184 Å. Structure: a GGA-PBE-relaxed structure.
Intensities are scaled so that the largest is 100.

Peak list (6 most intense, 10° ≤ 2θ ≤ 80°, low angle first)
2θ 26.90, 3.315 Å, rel. 55.3, hkl 1 1 2; 2θ 31.04, 2.881 Å, rel. 50.6, hkl 0 0 4; 2θ 31.21, 2.865 Å, rel. 100.0, hkl 2 0 0; 2θ 44.60, 2.032 Å, rel. 74.6, hkl 2 0 4; 2θ 44.73, 2.026 Å, rel. 37.1, hkl 2 2 0; 2θ 55.44, 1.657 Å, rel. 39.2, hkl 2 2 4

Structural model:
a b c (Å): 5.731 5.731 11.524
angles (deg): 90.00 90.00 90.00
Sites, in units of the cell vectors:
Tm (0.000, 0.000, 0.247)
Tm (0.000, 0.000, 0.753)
Tm (0.000, 0.500, 0.502)
Tm (0.000, 0.500, 0.998)
Tm (0.500, 0.000, 0.002)
Tm (0.500, 0.000, 0.498)
Tm (0.500, 0.500, 0.253)
Tm (0.500, 0.500, 0.747)
Ga (0.000, 0.500, 0.250)
Ga (0.500, 0.000, 0.750)
Si (0.000, 0.000, 0.000)
Si (0.500, 0.500, 0.500)
Se (0.000, 0.000, 0.500)
Se (0.000, 0.500, 0.750)
Se (0.500, 0.000, 0.250)
Se (0.500, 0.500, 0.000)

***

(3)
This entry pairs a crystal structure of SnIrPb with its computed powder diffractogram. Radiation: Cu Kα, 1.54184 Å. Structure: a GGA-PBE-relaxed structure.
Intensities are scaled so that the largest is 100.

Peak list (6 most intense, 10° ≤ 2θ ≤ 80°, low angle first)
2θ 23.45, 3.794 Å, rel. 38.5, hkl 1 1 1; 2θ 27.14, 3.285 Å, rel. 8.9, hkl 2 0 0; 2θ 38.76, 2.323 Å, rel. 100.0, hkl 2 2 0; 2θ 45.80, 1.981 Å, rel. 20.1, hkl 3 1 1; 2θ 55.98, 1.643 Å, rel. 17.5, hkl 4 0 0; 2θ 70.17, 1.341 Å, rel. 36.4, hkl 4 2 2

Structural model:
a b c (Å): 6.571 6.571 6.571
angles (deg): 90.00 90.00 90.00
Sites, in units of the cell vectors:
Sn (0.000, 0.000, 0.000)
Sn (0.000, 0.500, 0.500)
Sn (0.500, 0.000, 0.500)
Sn (0.500, 0.500, 0.000)
Ir (0.250, 0.250, 0.250)
Ir (0.250, 0.750, 0.750)
Ir (0.750, 0.250, 0.750)
Ir (0.750, 0.750, 0.250)
Pb (0.000, 0.000, 0.500)
Pb (0.000, 0.500, 0.000)
Pb (0.500, 0.000, 0.000)
Pb (0.500, 0.500, 0.500)

----------

The following is a computed X-ray diffraction stick pattern of VAg3F6. It was derived from a cell relaxed with GGA+U, using λ = 1.5418 Å (Cu Kα).

Top 10 peaks for 2θ from 10° to 80°, by angle:
Position (°2θ)  I (rel.)

Result:
a b c (Å): 5.731 5.731 11.524
angles (deg): 90.00 90.00 90.00
Sites, in units of the cell vectors:
Tm (0.000, 0.000, 0.247)
Tm (0.000, 0.000, 0.753)
Tm (0.000, 0.500, 0.502)
Tm (0.000, 0.500, 0.998)
Tm (0.500, 0.000, 0.002)
Tm (0.500, 0.000, 0.498)
Tm (0.500, 0.500, 0.253)
Tm (0.500, 0.500, 0.747)
Ga (0.000, 0.500, 0.250)
Ga (0.500, 0.000, 0.750)
Si (0.000, 0.000, 0.000)
Si (0.500, 0.500, 0.500)
Se (0.000, 0.000, 0.500)
Se (0.000, 0.500, 0.750)
Se (0.500, 0.000, 0.250)
Se (0.500, 0.500, 0.000)

***

(3)
This entry pairs a crystal structure of SnIrPb with its computed powder diffractogram. Radiation: Cu Kα, 1.54184 Å. Structure: a GGA-PBE-relaxed structure.
Intensities are scaled so that the largest is 100.

Peak list (6 most intense, 10° ≤ 2θ ≤ 80°, low angle first)
2θ 23.45, 3.794 Å, rel. 38.5, hkl 1 1 1; 2θ 27.14, 3.285 Å, rel. 8.9, hkl 2 0 0; 2θ 38.76, 2.323 Å, rel. 100.0, hkl 2 2 0; 2θ 45.80, 1.981 Å, rel. 20.1, hkl 3 1 1; 2θ 55.98, 1.643 Å, rel. 17.5, hkl 4 0 0; 2θ 70.17, 1.341 Å, rel. 36.4, hkl 4 2 2

Structural model:
a b c (Å): 6.571 6.571 6.571
angles (deg): 90.00 90.00 90.00
Sites, in units of the cell vectors:
Sn (0.000, 0.000, 0.000)
Sn (0.000, 0.500, 0.500)
Sn (0.500, 0.000, 0.500)
Sn (0.500, 0.500, 0.000)
Ir (0.250, 0.250, 0.250)
Ir (0.250, 0.750, 0.750)
Ir (0.750, 0.250, 0.750)
Ir (0.750, 0.750, 0.250)
Pb (0.000, 0.000, 0.500)
Pb (0.000, 0.500, 0.000)
Pb (0.500, 0.000, 0.000)
Pb (0.500, 0.500, 0.500)

----------

The following is a computed X-ray diffraction stick pattern of VAg3F6. It was derived from a cell relaxed with GGA+U, using λ = 1.5418 Å (Cu Kα).

Top 10 peaks for 2θ from 10° to 80°, by angle:
Position (°2θ)  I (rel.)